**Brief:**
The reader should work out how many lines further below have the word "uncorrected" in them; a number is enough.

**Entries:**
+++
[1]
Here is a geometry-optimized ScTe3Br structure from Alexandria via LeMat-Bulk. Energies are from PBE.

Output
SG: Pm-3m, No. 221

abc: 5.4897 5.4897 5.4897
angles: 90.00 90.00 90.00
With the nearest neighbours (Å) after each atom.
Sites, in units of the cell vectors:
Sc: 0.0000 0.0000 0.0000  12 Te 3.88
Te: 0.0000 0.5000 0.5000  2 Br 2.74
Te: 0.5000 0.0000 0.5000  2 Br 2.74
Te: 0.5000 0.5000 0.0000  2 Br 2.74
Br: 0.5000 0.5000 0.5000  6 Te 2.74


[2]
Here is a geometry-optimized Sc2TeBr structure from Alexandria via LeMat-Bulk. Energies are from PBE.

Output
SG: R-3m, No. 166

abc: 6.7361 6.7361 6.7361
angles: 36.02 36.02 36.02
With the nearest neighbours (Å) after each atom.
Sites, in units of the cell vectors:
Sc: 0.2377 0.2377 0.2377  3 Br 2.75, 3 Te 3.01
Sc: 0.7623 0.7623 0.7623  3 Br 2.75, 3 Te 3.01
Te: 0.0000 0.0000 0.0000  6 Sc 3.01
Br: 0.5000 0.5000 0.5000  6 Sc 2.75


[3]
Here is a geometry-optimized ScTe2Br structure from Alexandria via LeMat-Bulk. Energies are from PBE.

Output
SG: Fm-3m, No. 225

abc: 5.2885 5.2885 5.2885
angles: 60.00 60.00 60.00
With the nearest neighbours (Å) after each atom.
Sites, in units of the cell vectors:
Sc: 0.0000 0.0000 0.0000  8 Te 3.24
Te: 0.2500 0.2500 0.2500  4 Br 3.24, 4 Sc 3.24
Te: 0.7500 0.7500 0.7500  4 Br 3.24, 4 Sc 3.24
Br: 0.5000 0.5000 0.5000  8 Te 3.24


[4]
Here is a geometry-optimized Sc2TeBr structure from Alexandria via LeMat-Bulk. Energies are from PBE.

Output
SG: Pmmm, No. 47

abc: 3.8945 4.1834 6.1239
angles: 90.00 90.00 90.00
With the nearest neighbours (Å) after each atom.
Sites, in units of the cell vectors:
Sc: 0.0000 0.0000 0.0000  4 Br 2.86
Sc: 0.5000 0.0000 0.5000  4 Te 2.86
Te: 0.0000 0.5000 0.5000  4 Sc 2.86
Br: 0.5000 0.5000 0.0000  4 Sc 2.86


[5]
Here is a geometry-optimized ScTe2Br structure from Alexandria via LeMat-Bulk. Energies are from PBE.

Output
SG: P4mm, No. 99

abc: 3.2923 3.2923 11.2257
angles: 90.00 90.00 90.00
With the nearest neighbours (Å) after each atom.
Sites, in units of the cell vectors:
Sc: 0.0000 0.0000 0.0000  4 Br 2.85, 4 Te 3.07
Te: 0.0000 0.0000 0.5167  4 Te 3.29
Te: 0.5000 0.5000 0.1786  4 Sc 3.07, 4 Te 3.29
Br: 0.5000 0.5000 0.8533  4 Sc 2.85


[6]
Here is a geometry-optimized ScTe2Br structure from Alexandria via LeMat-Bulk. Energies are from PBE.

Output
SG: C2/m, No. 12

abc: 5.4847 5.4847 4.3148
angles: 90.13 90.13 117.73
With the nearest neighbours (Å) after each atom.
Sites, in units of the cell vectors:
Sc: 0.0000 0.0000 0.0000  2 Br 2.84
Te: 0.0000 0.5000 0.5000  2 Te 2.84
Te: 0.5000 0.0000 0.5000  2 Te 2.84
Br: 0.5000 0.5000 0.0000  2 Sc 2.84


[7]
Here is a geometry-optimized Sc2TeBr structure from Alexandria via LeMat-Bulk. Energies are from PBE.

Output
SG: R-3m, No. 166

abc: 8.8467 8.8467 8.8467
angles: 26.06 26.06 26.06
With the nearest neighbours (Å) after each atom.
Sites, in units of the cell vectors:
Sc: 0.1006 0.1006 0.1006  1 Br 2.58, 3 Te 2.86
Sc: 0.8994 0.8994 0.8994  1 Br 2.58, 3 Te 2.86
Te: 0.5000 0.5000 0.5000  6 Sc 2.86
Br: 0.0000 0.0000 0.0000  2 Sc 2.58


[8]
Here is a geometry-optimized ScTeBr3 structure from Alexandria via LeMat-Bulk. Energies are from PBE.

Output
SG: Pm-3m, No. 221

abc: 5.7446 5.7446 5.7446
angles: 90.00 90.00 90.00
With the nearest neighbours (Å) after each atom.
Sites, in units of the cell vectors:
Sc: 0.0000 0.0000 0.0000  12 Br 4.06
Te: 0.5000 0.5000 0.5000  6 Br 2.87
Br: 0.0000 0.5000 0.5000  2 Te 2.87
Br: 0.5000 0.0000 0.5000  2 Te 2.87
Br: 0.5000 0.5000 0.0000  2 Te 2.87


The calculation returns the following calculated density values, one per record and in order: 5.10; 5.22; 6.03; 4.95; 5.19; 5.49; 4.19; 3.61 g cm⁻³.
The calculation returns the following uncorrected formation energy values, one per record and in order: 0.48; -0.86; -0.29; -0.69; -0.67; -0.42; -0.83; 0.18 eV per atom.

=====

# RbZnMoF6

A geometry-optimized RbZnMoF6 structure (PBE with a Hubbard U, the Alexandria database).
+++

**Worked solution:**
1